Bill Landers 5K

Race: Bill Landers Building Bridges Memorial 5K

Date: May 9, 2015

Location: Glastonbury, CT

Official Time: 34:31

Official Lap: 11:07

Place: 301 / 463

These crystal structures were left in the text by mistake =
Entry 1:
# Na3ZnB5O10

A relaxed structure of Na3ZnB5O10 (GGA-PBE, the Materials Project database).

Values from the calculation:
- E (MP2020): -7.2610 eV/atom
- E: -6.899 eV/atom

a b c (Å): 6.756 18.365 8.031
angles (deg): 90.00 115.54 90.00
Space group P2_1/c (No. 14)
Asymmetric unit:
Na (0.138, 0.070, 0.339) (multiplicity 4)
Na (0.171, 0.080, 0.886) (multiplicity 4)
Na (0.294, 0.743, 0.419) (multiplicity 4)
Zn (0.348, 0.596, 0.194) (multiplicity 4)
B (0.054, 0.197, 0.503) (multiplicity 4)
B (0.304, 0.203, 0.169) (multiplicity 4)
B (0.319, 0.577, 0.838) (multiplicity 4)
B (0.328, 0.572, 0.535) (multiplicity 4)
B (0.438, 0.166, 0.727) (multiplicity 4)
O (0.095, 0.228, 0.041) (multiplicity 4)
O (0.128, 0.676, 0.144) (multiplicity 4)
O (0.204, 0.146, 0.620) (multiplicity 4)
O (0.248, 0.546, 0.659) (multiplicity 4)
O (0.256, 0.545, 0.957) (multiplicity 4)
O (0.257, 0.542, 0.366) (multiplicity 4)
O (0.340, 0.131, 0.194) (multiplicity 4)
O (0.437, 0.642, 0.876) (multiplicity 4)
O (0.465, 0.245, 0.757) (multiplicity 4)
O (0.476, 0.630, 0.589) (multiplicity 4)



Entry 2:
# K4Mg2H16S4O23

A relaxed structure of K4Mg2H16S4O23 (GGA-PBE, the Materials Project database).

Values from the calculation:
- E (MP2020): -5.6575 eV/atom
- E: -5.335 eV/atom

a b c (Å): 7.749 7.918 9.936
angles (deg): 83.72 84.39 80.58
Space group P1 (No. 1)
Asymmetric unit:
K (0.000, 0.000, 0.000) (multiplicity 1)
K (0.168, 0.190, 0.576) (multiplicity 1)
K (0.474, 0.502, 0.002) (multiplicity 1)
K (0.671, 0.682, 0.523) (multiplicity 1)
Mg (0.085, 0.577, 0.229) (multiplicity 1)
Mg (0.600, 0.087, 0.780) (multiplicity 1)
H (0.001, 0.507, 0.551) (multiplicity 1)
H (0.060, 0.472, 0.970) (multiplicity 1)
H (0.128, 0.647, 0.554) (multiplicity 1)
H (0.141, 0.652, 0.963) (multiplicity 1)
H (0.270, 0.235, 0.901) (multiplicity 1)
H (0.296, 0.249, 0.253) (multiplicity 1)
H (0.374, 0.133, 0.018) (multiplicity 1)
H (0.412, 0.374, 0.302) (multiplicity 1)
H (0.430, 0.406, 0.661) (multiplicity 1)
H (0.538, 0.309, 0.543) (multiplicity 1)
H (0.637, 0.848, 0.023) (multiplicity 1)
H (0.750, 0.767, 0.900) (multiplicity 1)
H (0.753, 0.803, 0.246) (multiplicity 1)
H (0.814, 0.027, 0.540) (multiplicity 1)
H (0.886, 0.907, 0.301) (multiplicity 1)
H (0.913, 0.924, 0.660) (multiplicity 1)
S (0.330, 0.827, 0.685) (multiplicity 1)
S (0.348, 0.844, 0.175) (multiplicity 1)
S (0.816, 0.318, 0.383) (multiplicity 1)
S (0.831, 0.350, 0.891) (multiplicity 1)
O (0.036, 0.333, 0.893) (multiplicity 1)
O (0.083, 0.572, 0.027) (multiplicity 1)
O (0.096, 0.539, 0.597) (multiplicity 1)
O (0.139, 0.868, 0.726) (multiplicity 1)
O (0.247, 0.739, 0.280) (multiplicity 1)
O (0.296, 0.369, 0.271) (multiplicity 1)
O (0.300, 0.031, 0.189) (multiplicity 1)
O (0.305, 0.809, 0.039) (multiplicity 1)
O (0.362, 0.871, 0.536) (multiplicity 1)
O (0.392, 0.202, 0.929) (multiplicity 1)
O (0.400, 0.642, 0.722) (multiplicity 1)
O (0.425, 0.936, 0.756) (multiplicity 1)
O (0.479, 0.290, 0.636) (multiplicity 1)
The crystal structures stop here =

Race Stats

Speed:  ★ ★ ★ (nice and open)

Hills:   (small hills here and there)

Crowd:  ★ ★ ★ (great turnout)

Party:   ★ .5 (a nice time with the folks from town)

T-Shirt:  ★  (Bill Landers and I have a similar look!)

     Perhaps the best race that I have ever run in. Not because of my time, but rather because it was my oldest daughter's first 5K race ever, and I had a blast running it with her and her friend from school. If you want to see all the details of the race, and some great photos in the photo album, check out the web page dedicated to this year's Bill Landers 5K race.

     Sure parents talk about how cool it is to get to do things with their kids, and how special all this stuff is, but FOR REAL this was awesome! It all actually started when I was away in San Francisco last week for a conference. When I was coming out of one of our last sessions, my cell phone rang, and it appeared to be my wife. When I picked up, I quickly found out that it was my 8-year old calling me.

     She had something exciting that she wanted to tell me. See, you may remember this, but they still have elementary school kids run a timed mile as part of P.E. Cassie had run her mile in about 11:30 back in the fall. Of late, I've been trying to get the kids more active outside, and I have had her running our 0.5 mile loop around our neighborhood a few nights a week. She's actually taken to it nicely, and I even time her now to give her a little personal motivation. It's been fun, and she enjoys the running.

     Well, she was super excited to tell me that with her practice mile at school (they run the official one next week), she ran a 9:00 minute mile! Not only that, she also knew that I had the upcoming Bill Landers 5K race (there is a part of the race registration where the elementary schools compete to see who can register the most runners), and she wanted to run the 5K race with me!

     I was so excited. Seriously! I told everyone at the conference that night the story. She had never run three miles before, so I wasn't sure how she would do, but I told her we would just take it as it comes, have a good time, set a good chilled pace and walk when we needed to. She was game, and I was elated. How cool that my kids were actually going to start getting into something that I really love too!

     We did some math on her 9:00 minute mile, and gave ourselves some time to walk if needed, and set a goal of 40:00 for the race. Now here is the point where you know that this is a seriously cool thing. Most of the time I would be trying to figure out where I was going to come in with my own personal time - I would have probably shot for 25:00 to 25:30 for this race, but I was even more excited to see if we could: 1) finish the race and 2) get it all in under a good goal for her. When you make that switch from, "man, I'm not going to be able to run this race at a personal best for me," to "I'm so psyched to see how my little one can do in this thing," that's when this gets cool as a parent.

     So the day of the race gets here and it's as awesome as I had thought. My little guy, Kyle, did a great job in the kids fun run. He's a little shy, but did a great job. He is quite the little T ball player, and I think will have a love of sports and athletics. I see him running this 5K and some more when he gets a little older too.

     After his race, I was getting so excited to start the race with Cassie. We shot some great photos and were talking about how fun the run was going to be, and how we would take it easy if we needed to. Just then we ran into one of her best friends from school, and we decide to run all together.

     For just a moment there was that feeling a parent gets when he realizes that your kids' friends are as important, and sometime more important, than their parents. For a second I had a twinge of, "maybe this won't be as special" if we don't run this together, just the two of us. And then I remembered this great book that I am reading right now about youth sports (Just Let the Kids Play, Bob Bigelow, 2001), and some of my leadership behaviors skills from my training at work last year. In a flash I thought, "no, this is going to be so much more fun for Cassie and me if we all run this together."

     And I was so correct. These two had such a good time running together, and I had such a blast running with them. In fact, they were so much fun that I couldn't help but get shots of them running along the way, and Tweeting them as we went. All the chitter-chatter about elementary school was hilarious. They loved the paper cups of water, and that you can just throw them on the ground. The whole thing was just so much fun - something that us adults sometimes lose when we are trying to push ourselves for personal bests and the such with these races.

-- begin --
# 1
34
Lattice="-8.0201 -0.1888 -4.0970 6.7247 -0.3779 -5.9815 -0.6664 -5.4160 -4.6706" Properties=species:S:1:pos:R:3 comment="CoH12PdC4N4O12 (PBE+U, relaxed)" magmom_total_mub_per_cell=7.06 final_energy_ev_per_fu=-194.7 pbc="T T T"
H 0.8195 -3.7992 -4.4029
H -2.7813 -2.1835 -10.3462
O -4.7605 -2.0742 -7.9742
C -3.4983 -3.4134 -6.4283
Pd -0.3332 -2.7080 -2.3353
O -2.7596 -0.2562 -4.7694
H 0.0342 -2.2196 -10.7061
H -3.0030 -5.4337 -12.9014
O -0.8471 -1.4968 -6.4775
O -4.5102 -3.8148 -5.8408
H -1.4859 -0.5166 -1.5248
O -1.1147 -4.4859 -8.2716
C -3.6439 -2.5028 -7.6587
H -6.0904 -3.8559 -7.2629
N -7.0631 -4.1009 -7.4870
H -1.9960 -3.7631 -4.0431
O 0.3055 -2.2790 -8.6552
H 3.9690 -3.9850 -8.5485
O -2.5296 -2.2426 -8.2929
O 2.7987 -3.9086 -6.7750
H -5.9308 -1.9978 -6.2006
O -2.2673 -3.7037 -6.0939
C 1.6821 -3.4799 -7.0904
H 4.1286 -2.1268 -7.4863
O 2.5484 -2.1679 -8.9083
O 1.4642 -0.3104 -5.3092
N 4.8476 -4.2537 -9.0093
N -6.8094 -1.7290 -5.7399
O 0.5678 -3.7401 -6.4562
H 1.0412 -0.5490 -1.8477
C 1.5365 -2.5693 -8.3208
N 5.1013 -1.8818 -7.2621
Co -0.9809 -2.9914 -7.3746
H -0.4759 -5.4661 -13.2244



# 2
22
Lattice="-2.9440 -0.8782 -4.5731 2.2022 -6.3705 -1.3464 -6.4148 -5.6447 2.1819" Properties=species:S:1:pos:R:3 comment="Li2V2F7 (PBE+U, relaxed)" magmom_total_mub_per_cell=10.00 final_energy_ev_per_fu=-62.7 pbc="T T T"
F -2.9160 -10.1777 -0.1550
Li -6.0301 -8.5545 -3.1917
F -6.5787 -6.0966 0.4376
Li -3.3369 -4.0626 -2.2441
F -4.1186 -7.3355 -0.2890
V -5.1579 -11.6106 -2.7585
V -1.9987 -1.2828 -0.9791
F -1.6744 -3.1047 -1.8225
V -2.5073 -7.3751 -3.9800
F -5.4821 -9.7888 -1.9151
Li -1.1264 -4.3390 -0.5460
F -3.0380 -5.5580 -3.4486
F -4.2405 -2.7157 -3.5826
F -0.1464 -5.8822 -1.2225
F -2.9357 -4.8562 -0.2817
F -7.0102 -7.0113 -2.5151
F -4.2209 -8.0373 -3.4559
F -1.8646 -8.1632 -2.2433
V -4.6493 -5.5184 0.2423
F -0.5778 -6.7969 -4.1752
F -5.2920 -4.7303 -1.4944
Li -3.8197 -8.8308 -1.4936



# 3
88
Lattice="-6.7888 -0.1226 -13.1861 -6.7469 -3.0805 3.5023 -3.5784 9.4763 1.7543" Properties=species:S:1:pos:R:3 comment="TeMo5O16 (PBE+U, relaxed)" magmom_total_mub_per_cell=0.00 final_energy_ev_per_fu=-150.8 pbc="T T T"
O -6.2820 -1.6136 -3.2788
O -5.2124 7.3094 2.0219
O -10.3863 6.1731 -9.3474
Te -7.6841 -0.7770 -9.9969
O -9.2196 -1.5691 -9.3421
O -9.8750 5.9451 0.4895
O -3.5639 0.3104 -2.0500
O -12.4351 3.0746 -1.9612
Mo -7.8244 2.3842 -8.5425
O -10.8321 7.8868 -4.6508
Mo -7.4827 0.7316 -0.2561
O -9.4479 -0.1150 0.7452
Mo -13.9328 4.0570 -9.5168
O -11.7953 2.3361 -5.8774
Te -9.8787 -2.2959 -5.9560
O -12.2752 0.9414 -8.1925
Te -7.2354 8.5692 -1.9736
O -12.5633 6.2787 0.6477
O -5.0843 1.6092 -3.6935
Te -9.4300 7.0502 2.0673
O -2.6756 0.3530 0.8259
O -9.9419 7.5074 -7.1744
O -7.2806 2.5109 -6.7950
O -8.8772 0.9255 -1.7156
O -4.8390 5.3319 0.2629
Mo -9.2897 3.8891 0.6129
Mo -6.4925 2.0196 -5.0043
O -8.6821 1.4986 -10.1551
O -10.7320 3.3045 1.4042
O -14.4385 5.9203 -8.7555
O -6.8468 3.8888 -4.3508
O -7.1723 -1.2341 -0.7552
Mo -5.9463 5.4288 -1.1965
-- stop --

     I did get a glimpse of my daughters competitive edge though. At the end she asked if we could sprint it on in. She still had plenty to go, and we were able to pass a few runners on the way into the finish line. I just love this picture that my wife got of us finishing together. It was really a special moment, and I will cherish this one for a long time.

     So I will be looking forward to our next 5K together, and I can't wait to see if the other kids will find a love for running too. I'll have to sneak in some races to keep me on my clock for the race season this year, but I don't think I'll ever be able to turn down running these races with the kids. It's just too much fun, and too special. If you haven't done this ever or in a while, I recommend registering with an 8- or 9-year old for a 5K one of these weekends, and run it at their pace and see the race through their world. It's just too cool!